Think of large earth moving projects: highway interchanges, coal mines or Boston’s Big Dig. According to Roger LeBaron Hooke, a University of Maine scientist, such activities have propelled humans into becoming arguably the most potent force in shaping the planet, surpassing rivers, wind and other natural phenomena. He finds this achievement troubling, and other scientists are taking note.

**Materials data, kept here for reference:**
┌──
Entry from Alexandria: BaEuPd2 after structural relaxation (PBE-GGA).

- crystal system = trigonal

Cell: 5.001 5.001 6.059 Å, 65.63 65.63 60.00°
Fractional coordinates of all 4 atoms:
Eu 0.500 0.500 0.500
Ba 0.000 0.000 0.000
Pd 0.783 0.783 0.650
Pd 0.217 0.217 0.350


Entry from Alexandria: BaEuPd2 after structural relaxation (PBE-GGA).

- crystal system = tetragonal

Cell: 3.783 3.783 7.538 Å, 90.00 90.00 90.00°
Fractional coordinates of all 4 atoms:
Eu 0.500 0.500 0.000
Ba 0.500 0.500 0.500
Pd 0.000 0.000 0.791
Pd 0.000 0.000 0.209


Entry from Alexandria: BaEuPd2 after structural relaxation (PBE-GGA).

- crystal system = cubic

Cell: 5.346 5.346 5.346 Å, 60.00 60.00 60.00°
Fractional coordinates of all 4 atoms:
Eu 0.000 0.000 0.000
Ba 0.500 0.500 0.500
Pd 0.250 0.250 0.250
Pd 0.750 0.750 0.750


| no. | ΔH_f (0 K) (eV per atom) | calculated volume (Å³ per cell) | DOS(E_F) (states/eV per atom) |
| --- | --- | --- | --- |
| 1 | -0.50 | 115.4 | 3.360 |
| 2 | -0.55 | 107.9 | 3.949 |
| 3 | -0.50 | 108.0 | 3.724 |

* * * * *

# 1
{
  "formula": "HfTl3Cu2Se6",
  "functional": "PBE",
  "state": "relaxed",
  "lattice": [[6.611, 0.377, -0.128], [-2.978, 5.915, -0.128], [-1.347, -2.333, 7.660]],
  "species": ["Hf", "Tl", "Tl", "Tl", "Cu", "Cu", "Se", "Se", "Se", "Se", "Se", "Se"],
  "frac_coords": [[0.000, 0.000, 0.000], [0.152, 0.848, 0.500], [0.848, 0.152, 0.500], [0.500, 0.500, 0.500], [0.327, 0.673, 0.000], [0.673, 0.327, 0.000], [0.976, 0.625, 0.789], [0.704, 0.704, 0.152], [0.024, 0.375, 0.211], [0.625, 0.976, 0.789], [0.296, 0.296, 0.848], [0.375, 0.024, 0.211]],
  "e_form_raw_kj_per_mol_atoms": -42.6
}

---

# 2
{
  "formula": "Sr2Re2MoN6",
  "functional": "PBE",
  "state": "relaxed",
  "lattice": [[5.857, 0.000, 0.000], [2.928, 5.072, 0.000], [2.928, 1.691, 6.243]],
  "species": ["Sr", "Sr", "Re", "Re", "Mo", "N", "N", "N", "N", "N", "N"],
  "frac_coords": [[0.742, 0.742, 0.775], [0.258, 0.258, 0.225], [0.430, 0.430, 0.710], [0.570, 0.570, 0.290], [0.000, 0.000, 0.000], [0.771, 0.771, 0.194], [0.263, 0.771, 0.194], [0.771, 0.263, 0.194], [0.229, 0.737, 0.806], [0.737, 0.229, 0.806], [0.229, 0.229, 0.806]],
  "e_form_raw_kj_per_mol_atoms": -44.4
}

---

# 3
{
  "formula": "RbPt2RhSe",
  "functional": "PBE",
  "state": "relaxed",
  "lattice": [[-0.342, 2.975, 3.639], [-3.360, -3.978, 2.936], [3.883, -1.878, 1.899]],
  "species": ["Se", "Rh", "Rb", "Pt", "Pt"],
  "frac_coords": [[0.000, 0.000, 0.000], [0.500, 0.500, 0.500], [0.000, 0.500, 0.000], [0.000, 0.000, 0.500], [0.500, 0.000, 0.000]],
  "e_form_raw_kj_per_mol_atoms": 90.1
}

---

# 4
{
  "formula": "CeErGaPd",
  "functional": "PBE",
  "state": "relaxed",
  "lattice": [[5.060, 0.000, 0.000], [2.530, 4.382, 0.000], [2.530, 1.461, 4.131]],
  "species": ["Ga", "Pd", "Ce", "Er"],
  "frac_coords": [[0.750, 0.750, 0.750], [0.250, 0.250, 0.250], [0.000, 0.000, 0.000], [0.500, 0.500, 0.500]]
}

---

# 5
{
  "formula": "Cr3As",
  "functional": "PBE",
  "state": "relaxed",
└──

Hooke taught at the University of Minnesota until1999 and is now a UMaine research professor in the Department of Earth Sciences and Climate Change Institute. He studies glaciated landscapes and has worked in Maine, the Canadian Arctic and Sweden on the forces that molded ice sculpted hills, built gravel ridges and left large landforms such as Cape Cod and Long Island.

In the early 1990s, a newspaper report on the annual number of housing starts in the United States led Hooke to wonder just how much earth was being displaced by human activity. He gathered data on residential subdivisions, road construction and mining. His goal was to estimate the amount of soil and rock that humans move from one location to another through activities akin to the forces of nature that he also studied.

In 1994, Hooke published the results in a paper in GSA Today, a journal of the Geological Society of America. He estimated that on a worldwide basis, humans move more of the planet around, about 45 gigatons (billion tons) annually, than do rivers, glaciers, oceans or wind. For comparison, he estimated that meandering rivers may move about 39 gigatons of sediment a year. Others have estimated that rivers deliver about 24 gigatons of sediment to the oceans each year. Even that enormous figure can be partly attributed to people. Soil erosion from farm fields, construction sites and other sources contributes significantly to river sediment loads.

Continuing his research, Hooke has put human earth moving into an historical context. After all, people moved rock to build monuments such as Stonehenge in England and pyramids in Egypt and the Americas. In the journal Geology in 2000, Hooke estimated that over the last 5,000 years of human history, the total amount of soil and rock moved by people would be enough to build a mountain range about 13,000 feet high, 25 miles wide and 62 miles long.

In the last century, powerful technologies have enabled people to accelerate this process. At current rates, the size of that metaphorical mountain range could double in the next 100 years, he wrote. “One might ask how long such rates of increase can be sustained and whether it will be rational behavior or catastrophe that brings them to an end.”

“I come at this from an environmental point of view,” Hooke says. “We’ve been at it for a century at this level. I wonder how much longer we can continue making a mess of the planet.”

Among the environmental problems linked to these activities are acid mine drainage and river sedimentation. Mountaintop removal, a technique for strip mining coal in the Appalachian coal belt, results in the destruction of river valleys, he adds.

Although he is not conducting new research in this area, geologists continue to show interest in his ideas. He gave a presentation in 1998 to the annual meeting of the American Association for the Advancement of Science. The Geological Society of America has invited him to give a presentation at a symposium in November on Human and Ecosystem Vulnerability.

How humans treat the land, Hooke says, can have unintended consequences. “The Dust Bowl of the 1930s resulted in part from clearing the land,” followed by severe drought. “We don’t know what causes these (climate) conditions, but there’s no reason they couldn’t recur.”